Now filter the calculation results underneath: keep the lines with the word "Positions".

--- one ---
## YMg14Sn (PBE)

Data for crystalline YMg14Sn at its relaxed geometry.

abc: 6.4606 6.4606 10.4989
angles: 90.00 90.00 120.00
Positions (direct):
Y 0.0000 0.0000 0.0000
Mg 0.0071 0.5035 0.0000
Mg 0.1668 0.3335 0.2514
Mg 0.1668 0.3335 0.7486
Mg 0.1668 0.8332 0.2514
Mg 0.1668 0.8332 0.7486
Mg 0.4965 0.5035 0.0000
Mg 0.4965 0.9929 0.0000
Mg 0.5016 0.0032 0.5000
Mg 0.5016 0.4984 0.5000
Mg 0.6665 0.8332 0.2514
Mg 0.6665 0.8332 0.7486
Mg 0.6667 0.3333 0.2430
Mg 0.6667 0.3333 0.7570
Mg 0.9968 0.4984 0.5000
Sn 0.0000 0.0000 0.5000

Summary:
Its space group is P-6m2 (187). The calculation puts the density at 2.4 Mg/m³.

--- two ---
## YMg14Sn (PBE)

Data for crystalline YMg14Sn at its relaxed geometry.

abc: 10.4332 6.5170 6.5170
angles: 58.40 90.00 90.00
Positions (direct):
Y 0.0000 0.0000 0.0000
Mg 0.0000 0.0028 0.4957
Mg 0.0000 0.4957 0.0028
Mg 0.2493 0.6652 0.6652
Mg 0.2564 0.1638 0.6633
Mg 0.2560 0.1653 0.1653
Mg 0.2564 0.6633 0.1638
Mg 0.5000 0.4993 0.4993
Mg 0.5000 0.4991 0.9970
Mg 0.5000 0.9970 0.4991
Mg 0.5000 0.9987 0.9987
Mg 0.7436 0.1638 0.6633
Mg 0.7440 0.1653 0.1653
Mg 0.7436 0.6633 0.1638
Mg 0.7507 0.6652 0.6652
Sn 0.0000 0.4952 0.4952

Summary:
Its space group is Amm2 (38). The calculation puts the density at 2.4 Mg/m³.

Which structure is most stable, and how do the rest compare? From most to least stable: two, one.

--- one ---
## Mg14ZnSn (PBE)

Data for crystalline Mg14ZnSn at its relaxed geometry.

abc: 6.3041 6.3041 10.3844
angles: 90.00 90.00 120.00
Positions (direct):
Mg 0.0000 0.0000 0.2483
Mg 0.0000 0.0000 0.7517
Mg 0.0016 0.5008 0.2450
Mg 0.0016 0.5008 0.7550
Mg 0.3332 0.1666 0.0000
Mg 0.3332 0.1666 0.5000
Mg 0.4992 0.5008 0.2450
Mg 0.4992 0.5008 0.7550
Mg 0.4992 0.9984 0.2450
Mg 0.4992 0.9984 0.7550
Mg 0.8334 0.1666 0.0000
Mg 0.8334 0.1666 0.5000
Mg 0.8334 0.6668 0.0000
Mg 0.8334 0.6668 0.5000
Zn 0.3333 0.6667 0.0000
Sn 0.3333 0.6667 0.5000

Summary:
Its space group is P-6m2 (187). The calculation puts the density at 2.4 Mg/m³.

--- two ---
## Mg14ZnSn (PBE)

Data for crystalline Mg14ZnSn at its relaxed geometry.

abc: 10.4298 6.3005 6.3005
angles: 60.26 90.00 90.00
Positions (direct):
Mg 0.0000 0.0000 0.0000
Mg 0.0000 0.0006 0.5001
Mg 0.0000 0.5001 0.0006
Mg 0.0000 0.4998 0.4998
Mg 0.2479 0.1670 0.1670
Mg 0.2503 0.1690 0.6655
Mg 0.2503 0.6655 0.1690
Mg 0.2501 0.6659 0.6659
Mg 0.5000 0.9999 0.5000
Mg 0.5000 0.5000 0.9999
Mg 0.7497 0.1690 0.6655
Mg 0.7497 0.6655 0.1690
Mg 0.7499 0.6659 0.6659
Mg 0.7521 0.1670 0.1670
Zn 0.5000 0.5005 0.5005
Sn 0.5000 0.0002 0.0002

Summary:
Its space group is Amm2 (38). The calculation puts the density at 2.4 Mg/m³.

Which structure is most stable, and how do the rest compare? From most to least stable: one, two.

--- one ---
## SrMg5 (PBE)

Data for crystalline SrMg5 at its relaxed geometry.

abc: 6.6557 6.6557 6.6557
angles: 51.57 51.57 51.57
Positions (direct):
Sr 0.0000 0.0000 0.0000
Mg 0.1728 0.8272 0.5000
Mg 0.3337 0.3337 0.3337
Mg 0.5000 0.1728 0.8272
Mg 0.6663 0.6663 0.6663
Mg 0.8272 0.5000 0.1728

Summary:
Its space group is R32 (155). The calculation puts the density at 2.1 Mg/m³.

--- two ---
## SrMg5 (PBE)

Data for crystalline SrMg5 at its relaxed geometry.

abc: 3.5220 3.5220 15.3772
angles: 90.00 90.00 120.00
Positions (direct):
Sr 0.0000 0.0000 0.0000
Mg 0.0000 0.0000 0.3459
Mg 0.0000 0.0000 0.6541
Mg 0.3333 0.6667 0.1928
Mg 0.3333 0.6667 0.5000
Mg 0.3333 0.6667 0.8072

Summary:
Its space group is P-6m2 (187). The calculation puts the density at 2.1 Mg/m³.

Which structure is most stable, and how do the rest compare? From most to least stable: one, two.

--- one ---
## SrMg5 (PBE)

Data for crystalline SrMg5 at its relaxed geometry.

abc: 5.3157 9.1243 9.1243
angles: 22.16 90.00 90.00
Positions (direct):
Sr 0.0000 0.0000 0.0000
Mg 0.0000 0.3241 0.3241
Mg 0.0000 0.6792 0.6792
Mg 0.5000 0.1330 0.1330
Mg 0.5000 0.4238 0.4238
Mg 0.5000 0.7813 0.7813

Summary:
Its space group is Amm2 (38). The calculation puts the density at 2.1 Mg/m³.

--- two ---

Positions (direct):
Positions (direct):
Positions (direct):
Positions (direct):
Positions (direct):
Positions (direct):
Positions (direct):